Your job: write out everything underneath character by character.

'''
# PBE-GGA LiY2Mg5, relaxed
data_LiY2Mg5
_cell_length_a 4.933
_cell_length_b 4.933
_cell_length_c 16.340
_cell_angle_alpha 90.00
_cell_angle_beta 90.00
_cell_angle_gamma 90.00
_space_group_name_H-M_alt 'I 4/m m m'
_space_group_IT_number 139
_space_group_name_Hall '-I 4 2'
loop_
_atom_site_label
_atom_site_type_symbol
_atom_site_fract_x
_atom_site_fract_y
_atom_site_fract_z
Li1 Li 0.000 0.000 0.000
Y1 Y 0.000 0.000 0.254
Mg1 Mg 0.000 0.000 0.500
Mg2 Mg 0.000 0.500 0.111
# Crystal system: tetragonal
# E: -2.910 eV/atom

=====

# PBE-GGA LiYMg, relaxed
data_LiYMg
_cell_length_a 4.064
_cell_length_b 4.064
_cell_length_c 9.365
_cell_angle_alpha 90.00
_cell_angle_beta 90.00
_cell_angle_gamma 90.00
_space_group_name_H-M_alt 'P 4/n m m'
_space_group_IT_number 129
loop_
_space_group_symop_operation_xyz
'x,y,z'
'-x,-y,-z'
'-y+1/2,x,z'
'y+1/2,-x,-z'
'-x+1/2,-y+1/2,z'
'x+1/2,y+1/2,-z'
'y,-x+1/2,z'
'-y,x+1/2,-z'
'x+1/2,-y,-z'
'-x+1/2,y,z'
'-y,-x,-z'
'y,x,z'
'-x,y+1/2,-z'
'x,-y+1/2,z'
'y+1/2,x+1/2,-z'
'-y+1/2,-x+1/2,z'
loop_
_atom_site_label
_atom_site_type_symbol
_atom_site_fract_x
_atom_site_fract_y
_atom_site_fract_z
Li1 Li 0.250 0.750 0.000
Y1 Y 0.250 0.250 0.390
Mg1 Mg 0.250 0.250 0.770
# Crystal system: tetragonal
# E: -3.280 eV/atom
# Energy above the most stable polymorph in this dataset: 83 meV per atom

=====

# PBE-GGA Li7YMg5, relaxed
data_Li7YMg5
_cell_length_a 5.879
_cell_length_b 10.046
_cell_length_c 9.856
_cell_angle_alpha 90.00
_cell_angle_beta 90.00
_cell_angle_gamma 90.00
_space_group_name_H-M_alt 'I m m 2'
_space_group_IT_number 44
_space_group_name_Hall 'I 2 -2'
loop_
_atom_site_label
_atom_site_type_symbol
_atom_site_fract_x
_atom_site_fract_y
_atom_site_fract_z
Li1 Li 0.000 0.000 0.000
Li2 Li 0.000 0.000 0.300
Li3 Li 0.000 0.281 0.144
Li4 Li 0.000 0.356 0.647
Li5 Li 0.000 0.500 0.342
Y1 Y 0.000 0.000 0.647
Mg1 Mg 0.000 0.500 0.950
Mg2 Mg 0.250 0.244 0.894
# Crystal system: orthorhombic
# E: -2.129 eV/atom

=====

# PBE-GGA LiY2Mg6, relaxed
data_LiY2Mg6
_cell_length_a 15.609
_cell_length_b 9.011
_cell_length_c 3.234
_cell_angle_alpha 90.00
_cell_angle_beta 90.07
_cell_angle_gamma 90.00
_space_group_name_H-M_alt 'C 1 2/m 1'
_space_group_IT_number 12
_space_group_name_Hall '-C 2y'
loop_
_atom_site_label
_atom_site_type_symbol
_atom_site_fract_x
_atom_site_fract_y
_atom_site_fract_z
Li1 Li 0.000 0.000 0.000
Y1 Y 0.167 0.500 0.000
Mg1 Mg 0.000 0.330 0.500
Mg2 Mg 0.165 0.165 0.498
# Crystal system: monoclinic
# E: -2.753 eV/atom

=====

Formation energy across the listed records, respectively: -0.06 0.04 0.01 -0.04 eV per atom.
'''

# PBE-GGA LiY2Mg5, relaxed
data_LiY2Mg5
_cell_length_a 4.933
_cell_length_b 4.933
_cell_length_c 16.340
_cell_angle_alpha 90.00
_cell_angle_beta 90.00
_cell_angle_gamma 90.00
_space_group_name_H-M_alt 'I 4/m m m'
_space_group_IT_number 139
_space_group_name_Hall '-I 4 2'
loop_
_atom_site_label
_atom_site_type_symbol
_atom_site_fract_x
_atom_site_fract_y
_atom_site_fract_z
Li1 Li 0.000 0.000 0.000
Y1 Y 0.000 0.000 0.254
Mg1 Mg 0.000 0.000 0.500
Mg2 Mg 0.000 0.500 0.111
# Crystal system: tetragonal
# E: -2.910 eV/atom

=====

# PBE-GGA LiYMg, relaxed
data_LiYMg
_cell_length_a 4.064
_cell_length_b 4.064
_cell_length_c 9.365
_cell_angle_alpha 90.00
_cell_angle_beta 90.00
_cell_angle_gamma 90.00
_space_group_name_H-M_alt 'P 4/n m m'
_space_group_IT_number 129
loop_
_space_group_symop_operation_xyz
'x,y,z'
'-x,-y,-z'
'-y+1/2,x,z'
'y+1/2,-x,-z'
'-x+1/2,-y+1/2,z'
'x+1/2,y+1/2,-z'
'y,-x+1/2,z'
'-y,x+1/2,-z'
'x+1/2,-y,-z'
'-x+1/2,y,z'
'-y,-x,-z'
'y,x,z'
'-x,y+1/2,-z'
'x,-y+1/2,z'
'y+1/2,x+1/2,-z'
'-y+1/2,-x+1/2,z'
loop_
_atom_site_label
_atom_site_type_symbol
_atom_site_fract_x
_atom_site_fract_y
_atom_site_fract_z
Li1 Li 0.250 0.750 0.000
Y1 Y 0.250 0.250 0.390
Mg1 Mg 0.250 0.250 0.770
# Crystal system: tetragonal
# E: -3.280 eV/atom
# Energy above the most stable polymorph in this dataset: 83 meV per atom

=====

# PBE-GGA Li7YMg5, relaxed
data_Li7YMg5
_cell_length_a 5.879
_cell_length_b 10.046
_cell_length_c 9.856
_cell_angle_alpha 90.00
_cell_angle_beta 90.00
_cell_angle_gamma 90.00
_space_group_name_H-M_alt 'I m m 2'
_space_group_IT_number 44
_space_group_name_Hall 'I 2 -2'
loop_
_atom_site_label
_atom_site_type_symbol
_atom_site_fract_x
_atom_site_fract_y
_atom_site_fract_z
Li1 Li 0.000 0.000 0.000
Li2 Li 0.000 0.000 0.300
Li3 Li 0.000 0.281 0.144
Li4 Li 0.000 0.356 0.647
Li5 Li 0.000 0.500 0.342
Y1 Y 0.000 0.000 0.647
Mg1 Mg 0.000 0.500 0.950
Mg2 Mg 0.250 0.244 0.894
# Crystal system: orthorhombic
# E: -2.129 eV/atom

=====

# PBE-GGA LiY2Mg6, relaxed
data_LiY2Mg6
_cell_length_a 15.609
_cell_length_b 9.011
_cell_length_c 3.234
_cell_angle_alpha 90.00
_cell_angle_beta 90.07
_cell_angle_gamma 90.00
_space_group_name_H-M_alt 'C 1 2/m 1'
_space_group_IT_number 12
_space_group_name_Hall '-C 2y'
loop_
_atom_site_label
_atom_site_type_symbol
_atom_site_fract_x
_atom_site_fract_y
_atom_site_fract_z
Li1 Li 0.000 0.000 0.000
Y1 Y 0.167 0.500 0.000
Mg1 Mg 0.000 0.330 0.500
Mg2 Mg 0.165 0.165 0.498
# Crystal system: monoclinic
# E: -2.753 eV/atom

=====

Formation energy across the listed records, respectively: -0.06 0.04 0.01 -0.04 eV per atom.